Here's my specs
Intel i7-6700K 4.0
32.0 GB ram
Windows 10 home 64bit
Radeon RX 480
Dell U2913 wm ultra wide 21:9
Next to the article, the page also holds crystal structures:
# TaAl3V8 PBE-GGA optimized geometry
# Energy   -7.975 eV per atom
# Magnetization   0.000 μB/atom
# Energy of formation   27.4 meV per atom
# Fermi-level density of states   13.8 states/eV/cell
data_TaAl3V8
_chemical_formula_sum 'Ta1 Al3 V8'
_space_group_name_H-M_alt 'P 3 m 1'
_space_group_IT_number 156
_space_group_name_Hall 'P 3 -2"'
_cell_length_a 5.0076
_cell_length_b 5.0076
_cell_length_c 8.1097
_cell_angle_alpha 90.00
_cell_angle_beta 90.00
_cell_angle_gamma 120.00
loop_
_atom_site_label
_atom_site_type_symbol
_atom_site_fract_x
_atom_site_fract_y
_atom_site_fract_z
Ta1 Ta 0.0000 0.0000 0.0000
Al1 Al 0.0000 0.0000 0.3701
Al2 Al 0.6667 0.3333 0.5005
Al3 Al 0.6667 0.3333 0.8805
V1 V 0.1638 0.3276 0.6841
V2 V 0.3333 0.6667 0.4406
V3 V 0.3333 0.6667 0.9393
V4 V 0.5009 0.0017 0.1888

---

# TaAlV2 PBE-GGA optimized geometry
# Energy   -8.593 eV per atom
# Magnetization   0.000 μB/atom
# Energy of formation   -134.8 meV per atom
# Fermi-level density of states   2.8 states/eV/cell
data_TaAlV2
_chemical_formula_sum 'Ta1 Al1 V2'
_space_group_name_H-M_alt 'P 4/m m m'
_space_group_IT_number 123
_space_group_name_Hall '-P 4 2'
_cell_length_a 4.241
_cell_length_b 4.241
_cell_length_c 3.369
_cell_angle_alpha 90.00
_cell_angle_beta 90.00
_cell_angle_gamma 90.00
loop_
_atom_site_label
_atom_site_type_symbol
_atom_site_fract_x
_atom_site_fract_y
_atom_site_fract_z
Ta1 Ta 0.000 0.000 0.000
Al1 Al 0.500 0.500 0.000
V1 V 0.000 0.500 0.500


[1]
Entry from the Alexandria database: an optimized crystal structure of RbSiS2N (PBE-GGA).

Calculated values
Energy relative to the elements, uncorrected   2037 meV/atom
ρ   1921 kg/m3
Energy relative to the lowest polymorph listed for this composition   1.9954 eV/atom
DOS at the Fermi energy   1.69 states/eV per cell
Total DFT energy (no corrections)   -12.8 eV for the cell shown

a = 5.7540 Å, b = 5.7540 Å, c = 5.0041 Å
α = 90.00°, β = 90.00°, γ = 90.00°
Closest atoms and distances in Å follow each position.
Sites, in units of the cell vectors:
Rb: 0.0000 0.0000 0.0000  2 N 2.50
Si: 0.5000 0.5000 0.5000  8 S 3.81, 4 N 4.07
S: 0.0000 0.5000 0.0000  2 Rb 2.88
S: 0.5000 0.0000 0.0000  2 Rb 2.88
N: 0.0000 0.0000 0.5000  2 Rb 2.50


[2]
Entry from the Alexandria database: an optimized crystal structure of RbSiSN2 (PBE-GGA).

Calculated values
Energy relative to the elements, uncorrected   690 meV/atom
ρ   3872 kg/m3
Energy relative to the lowest polymorph listed for this composition   0.0000 eV/atom
DOS at the Fermi energy   2.63 states/eV per cell
Total DFT energy (no corrections)   -23.7 eV for the cell shown

a = 3.9480 Å, b = 3.9480 Å, c = 4.7769 Å
α = 90.00°, β = 90.00°, γ = 90.00°
Closest atoms and distances in Å follow each position.
Sites, in units of the cell vectors:
Rb: 0.0000 0.0000 0.0000  4 S 2.79, 8 N 3.10
Si: 0.5000 0.5000 0.5000  4 N 1.97
S: 0.5000 0.5000 0.0000  2 Si 2.39
N: 0.0000 0.5000 0.5000  2 Si 1.97
N: 0.5000 0.0000 0.5000  2 Si 1.97


[3]
So much for the crystal structures:
Radeon Adrenalin 18.2.1
Hello, my current issue is that the HMDI port will not work on ultra wide "hours of ts and I don't know why" so the HDMI adrenalin scaling is not an option. The display works fine with DP and DP to mini but is not full scaling to the screen. I am missing about 1/4 inch on the top and sides of the screen and its driving me nuts. I recently purchased this pc and fully updated windows ran amdcleanuputility and reinstalled all video drives.
It is installing Cnext/CCCslim but with these programs there is no scaling options. On my previous windows 7 pro build you could right click and open CCC and scale.
So I was able to get my hands on a few different builds of CCC and have tried a fresh clean install of just CCC no other drivers and I am unable to get it to function. Wont open but will install and I'm able to poke around the files but nothing will load.
CCCslim is pretty much useless and I have tried night after night to get CCC to install and am at the point of downgrading to Windows7
I have read forum after forum and have tried everything. I give up If anyone can help me get CCC on this PC that would be great.
Crystal structures from another source follow:
-- begin --
Compound: Li2TlRe
Source: the Alexandria database
Functional: PBE
Structure: optimized geometry

Properties
final energy = -4.2006 eV per atom
energy above the lowest structure with this stoichiometry = 0.45 eV per formula unit
E_form = 460 meV/atom

CIF file:
```
data_Li2TlRe
_cell_length_a 2.933
_cell_length_b 4.787
_cell_length_c 4.805
_cell_angle_alpha 90.00
_cell_angle_beta 90.00
_cell_angle_gamma 90.00
_space_group_name_H-M_alt 'P m m m'
_space_group_IT_number 47
_space_group_name_Hall '-P 2 2'
loop_
_atom_site_label
_atom_site_fract_x
_atom_site_fract_y
_atom_site_fract_z
Li1 0.000 0.000 0.000
Li2 0.500 0.500 0.000
Tl1 0.000 0.500 0.500
Re1 0.500 0.000 0.500
```

=====

Entry from Alexandria via LeMat-Bulk: Ho4GeCl5 after structural relaxation (PBE).

a = 3.9376 Å, b = 8.0778 Å, c = 8.9302 Å
α = 102.42°, β = 102.74°, γ = 90.00°
Last column: nearest neighbours and their distance in Å.
Atoms (fractional coordinates):
1 Cl 0.1666 0.3230 0.3333  3 Ho 2.73-2.82
2 Ho 0.9991 0.7672 0.9983  2 Ge 2.72, 4 Cl 2.82-2.96
3 Cl 0.8269 0.1509 0.6538  4 Ho 2.80-2.96
4 Ge 0.5000 0.0000 0.0000  6 Ho 2.66-2.72
5 Ho 0.3435 0.9152 0.6869  1 Ge 2.66, 5 Cl 2.73-2.90
6 Cl 0.1731 0.8491 0.3462  4 Ho 2.80-2.96
7 Ho 0.6565 0.0848 0.3131  1 Ge 2.66, 5 Cl 2.73-2.90
8 Cl 0.5000 0.5000 0.0000  4 Ho 2.92
9 Cl 0.8334 0.6770 0.6667  3 Ho 2.73-2.82
10 Ho 0.0009 0.2328 0.0017  2 Ge 2.72, 4 Cl 2.82-2.96

Results
For the calculated total energy, the calculation gives -48.817 eV for the cell shown. Its space group is C2/m. Its magnetic moment is 0.000 μB/atom. As for the calculated volume: 27.02 Å³/atom.

=====

Entry from Alexandria via LeMat-Bulk: V3CdCu after structural relaxation (PBE).

a = 4.9766 Å, b = 4.9766 Å, c = 4.9766 Å
α = 90.00°, β = 90.00°, γ = 90.00°
Last column: nearest neighbours and their distance in Å.
Atoms (fractional coordinates):
1 V 0.5000 0.0000 0.0000  2 Cd 2.49
2 Cu 0.5000 0.5000 0.5000  12 V 3.52
3 Cd 0.0000 0.0000 0.0000  6 V 2.49
4 V 0.0000 0.5000 0.0000  2 Cd 2.49
5 V 0.0000 0.0000 0.5000  2 Cd 2.49

Results
Its energy of formation is 1975.9 meV per atom. Its space group is Pm-3m. The energy above the most stable polymorph in this dataset comes out at 888 meV/atom. Its magnetic moment is 1.860 μB/atom. As for the calculated volume: 24.65 Å³/atom.

=====

Below is a relaxed Rb2MnO4 crystal, with properties calculated at the PBE+U level.

Lattice parameters (Å, degrees): 8.1309 6.1691 10.9244 90.00 90.00 90.00
Fractional coordinates of all 28 atoms:
Rb1 0.0109 0.2500 0.1964
Rb2 0.1673 0.7500 0.4140
Rb3 0.3327 0.2500 0.9140
Rb4 0.4891 0.7500 0.6964
Rb5 0.5109 0.2500 0.3036
Rb6 0.6673 0.7500 0.0860
Rb7 0.8327 0.2500 0.5860
Rb8 0.9891 0.7500 0.8036
Mn1 0.2311 0.7500 0.0800
Mn2 0.2689 0.2500 0.5800
Mn3 0.7311 0.7500 0.4200
Mn4 0.7689 0.2500 0.9200
O1 0.0271 0.7500 0.0809
O2 0.1962 0.0309 0.6509
O3 0.1962 0.4691 0.6509
O4 0.2036 0.2500 0.4349
O5 0.2964 0.7500 0.9349
O6 0.3038 0.5309 0.1509
O7 0.3038 0.9691 0.1509
O8 0.4729 0.2500 0.5809
-- stop --
A side note if a game is ran with its own independent resolution ALT Tabbing takes 10-30 seconds. When ran on native screen resolution or boarderlesswindow no issues ALT Tabbing. This was not an issue on 7. I am assuming it is a Windows 10 issue.
This was only happening In steam ran games. Using monitors current reso for the in-game setting fixed this issue.
There is no CCC in the latest drivers. CCC was replace by Radeon Setting a long time ago now. Forgive me if your CCC you are referring to is not the one included in the Radeon drivers. If it is something else than, I got nothing.
Thank for the reply,
In CCC there was the scaling option maybe I am missing it in adrenaline. When connecting via HDMI to a tv works fine scaling is an option under display tab. With a DP port it is not accessible. I have checked every nook and cranny and the settings are not available. Is there another way to scale without CCC?
It is under display / scaling mode / preserve aspect ratio is the default, you probably want to change that to FULL PANEL.
Good Luck & Happy Gaming!
Maybe a longshot, do you have,
or just single box ?
Just a single box
Click on it, see what happens ?
It's magic man!
Full screen enabled.....
I cant imagine I'm getting trolled on AMD forums so I must be lost. Were is this magic square you speak of?!?!? goodplay
If you click it it maximizes and becomes two squares.
If this is the problem, where you see the desktop around the edges (click the single box to go full screen(overlapped boxes))
Scaling options are only available on HDMI connections, so you will not see them when connected via DP.
We have seen this issue before and it requires you to set the monitor to it's native resolution.
According to the user manual, this monitor has a resolution of 2560 x 1080. Set it to that resolution using either the physical monitor controls or the Windows Display Settings controls.
Curiosity question Ray, is this because display port is newer and has this ability built in by design, or is it actually lacking the ability? Good information I never new about this and just would like clarification. Thanks for your input as always you make us smarter.
Good question. I don't know the answer but will try to find out.
Thank you for the response,
As far as physical monitor settings I tried 1:1 21:9 and auto resize none of which gave me use of the extra space of screen space.
As far as windows display settings I have it set currently to 2560:1080 only other option is to drop the resolution.
Maybe the better question is why cant I get the HDMI to work. It seems like that is the best solution.
On boot up, I get video before windows starts. It is distorted and the colors are wrong the black is red and "zigzaggy". Pretty much seizure inducing I might have to snap a photo it is hard to explain but as soon as windows kicks in black screen, and the monitor detects no video.
I really appreciate all the help, I've never had any other issues with the AMD products and I know this one is minor but very bothersome.
goodplay Did you just give me a tutorial to full screen a window? Thanks anyways
Hey with all the things you are saying this monitor isn't doing, have we even eliminated an obvious possible culprit, the monitor itself? Plug this monitor into another computer and see if it works properly.
Also do you have any other devices plugged into this monitor at the same time? Game console, anther computer, cable box, dvd player etc? Seems to lock the monitor into limited scaling options if you do, or maybe even did before may need to reset monitor?
Also just making sure that you are only utilizing ports on the video card itself ant that nothing is plugged into a motherboard port?
Next when you go to device manager and you monitor what driver is controlling the monitor. Generic PNP or is it a specific manufacturer driver for your monitor.
Windows 10 has been driving me nuts with many updates it changes my monitor driver back to Generic PNP and it breaks functions like my Free Sync.
Your monitor driver from the monitors manufacturer potentially may contain the missing key here. This also may not change a thing but is quick and easy to check.
If there is a driver for your monitor download it. In device manager just choose update driver under monitor and browse to the folder with the driver you download.
I just checked myself and there is a driver for your monitor from Dell get it here:
Looking at the manual for your monitor located here:
I see under the display options these settings for aspect ratio: Adjust the image ratio as wide 21:9, 16:9, Auto Resize or 1:1
Have you cycled through the options and tested how the video card reacts to those changes. May be that setting to one of those setting over another, helps your situation? I'd maybe check each setting through both HDMI and Display Port to see if it improves?
This manual also has some specific instructions for if the image isn't centering the output to do a factory reset on the monitor. Look at your instructions and try that stuff if you have not. The trouble shooting guide in back has more possibilities.
Last but not least is do all that stuff, if that does not help I am in no way saying it can't be graphics card hardware and or driver related, but if it is or isn't you are probably not the first to have this issue. You are lucky that this is a Dell as they have good, tech support! Call them and run your issue by them, they might know exactly what to tell you.
I hope something here works for you, I now how frustrating computer issues are.
Good Luck & Happy Gaming!
I commend you for your reply,
I promise I wouldn't be here if I didn't exhaust every option I could think of first.
I just pulled this monitor from a win7 I built back in 2012 with a radeon HD7?? Cant recall the specs but it was one of the better ones at the time and just started falling behind in gaming hence the new pc. It had ccc and scaling that's how I ended up here with such confusion about the new driver software. No issues on the monitor, I use to have a wiiu and the pcwin7 hooked up without issues, But currently only the win10 pc is connected. That being said there is also a usb that runs to the monitor from the pc to power the monitors usb ports for back lighting etc. This is the exact same set up as it was when I was able to access CCC on the win7 build.
The driver update from device manager slipped me so I ran it and it did update checked all graphical settings and the issue persists.
The driver from dell was one of the first installs on this pc and was also on the previous pc.
In my previous post I did state I tried cycling the monitors reso settings and I just did a factory reset and still nothing.
I pulled my old PC out just to test it, and full screen on boot.
This was my first prebuilt its from HP I'm old and lazy now. So I have tried HP's and AMD's drivers and wiped them and currently running the drivers downloaded from AMD directly
I have this suspicion it's an issue with windows 10. Or something with the HDMI input to 21:9
No issues on 1080 with HDMI have tried multiple screens and brands that I have available.
I hate windows 10, the adds in the start menu, the tablet feel, it just doesn't feel like a computer any more. I might downgrade to 7pro and see if the issue is fixed
Honestly cant thank you enough for the time and suggestions. I am ready to accept defeat and return it.
This graphics card is great though It is nice running games in Ultra again. Last Nvida purchase was in 2009 and I will never look back.
Here is a picture because of the confusion with the issue.
Why not try the most recent drivers before giving up? They aren't that bad, you just need to max the power slider to the right all the way up. Radeon Settings while being a little flaky is an adequate replacement for CCC, and it had it's bugs at certain iterations too. CCC isn't supported and was replaced by Radeon Settings a long time ago. You have to go back to like mid 2015, pre Crimson drivers for CCC support if I remember correctly. I personally never understood why they removed all the things they did from the controls back then. It wasn't untill my move to Windows 10 that it became more clear.
Lots of the control lands at the feet of the operating systems controls in Windows 10 that you used to do in CCC. I think the industry probably just migrated to a more uniform approach. Remember while CCC may have been easy for us, less than 10% of users are gamers and probably very confused by, too many settings.
Windows 10 also is absolutely breaking things, and that is by pushing forward with new standards and changes under the hood. I think they are releasing to the public these days, IMHO beta level software too. This never used to happen, in fact I also believe they are catching the industry off-guard with these changes as much as they are the consumers. By the time AMD (or any other manufacturer can update the drivers) they have pushed out more changes on the down low.
A lot of the flak AMD has gotten is IMHO because they are pushing changes at the same time, and there are so many variable in all of this to account for that I don't think anyone realized how badly it could break things. It sure isn't because they don't care, that would be corporate suicide. Without AMD I don't think any of us would enjoy the playing field we have today. The inovation they beging that has evolved so many OPEN standards & the competition they force on the other players keeps us with all with the best tech at the best prices, minus the darn miners.
You might even enjoy a more modern Monitor. I am gaming just fine with my RX 580 (not that much faster than yours 10% at best) at 1440p and wow what a better experience. Like night and day to 1080p IMHO. The 2d is great too.
I think when you get those off size monitors long term support suffers. You aren't the first one here with issues supporting things that just fall out of mainstream.
We has people in here all the time wanting High Refresh rates on 4:3 monitors and that's an issue.
........
Entry 1:
This record from Alexandria via LeMat-Bulk describes LaN2Cl after structural relaxation. The functional is PBE.

a b c (Å): 4.695 4.695 13.270
angles (deg): 90.00 90.00 90.00
Positions (direct):
La1 0.000 0.000 0.000
La2 0.000 0.500 0.250
La3 0.500 0.000 0.750
La4 0.500 0.500 0.500
N1 0.210 0.250 0.625
N2 0.250 0.710 0.875
N3 0.250 0.790 0.375
N4 0.290 0.250 0.125
N5 0.710 0.750 0.125
N6 0.750 0.210 0.375
N7 0.750 0.290 0.875
N8 0.790 0.750 0.625
Cl1 0.000 0.000 0.500
Cl2 0.000 0.500 0.750
Cl3 0.500 0.000 0.250
Cl4 0.500 0.500 0.000

As for the space group: I-42d, No. 122. The formation energy (no corrections) is 2.76 eV/f.u. As for the excess energy over the best structure of this formula in the dataset: 576 meV/atom. The final energy comes out at -5.1659 eV/atom.

Entry 2:
This record from Alexandria via LeMat-Bulk describes LaN2Cl after structural relaxation. The functional is PBE.

a b c (Å): 6.356 6.356 6.356
angles (deg): 90.00 90.00 90.00
Positions (direct):
La1 0.000 0.000 0.000
La2 0.000 0.500 0.500
La3 0.500 0.000 0.500
La4 0.500 0.500 0.000
N1 0.250 0.250 0.250
N2 0.250 0.250 0.750
N3 0.250 0.750 0.250
N4 0.250 0.750 0.750
N5 0.750 0.250 0.250
N6 0.750 0.250 0.750
N7 0.750 0.750 0.250
N8 0.750 0.750 0.750
Cl1 0.000 0.000 0.500
Cl2 0.000 0.500 0.000
Cl3 0.500 0.000 0.000
Cl4 0.500 0.500 0.500

As for the space group: Fm-3m, No. 225. The formation energy (no corrections) is 1.96 eV/f.u. As for the excess energy over the best structure of this formula in the dataset: 375 meV/atom. The final energy comes out at -5.3668 eV/atom.

Entry 3:
This record from Alexandria via LeMat-Bulk describes La2NCl3 after structural relaxation. The functional is PBE.

a b c (Å): 8.369 8.369 8.369
angles (deg): 130.66 67.69 136.72
Positions (direct):
La1 0.094 0.176 0.270
La2 0.406 0.676 0.083
La3 0.594 0.324 0.917
La4 0.906 0.824 0.730
N1 0.250 0.250 0.000
N2 0.750 0.750 0.000
Cl1 0.199 0.818 0.016
Cl2 0.250 0.750 0.500
Cl3 0.301 0.318 0.619
Cl4 0.699 0.682 0.381
Cl5 0.750 0.250 0.500
Cl6 0.801 0.182 0.984

As for the space group: Ibam, No. 72. The formation energy (no corrections) is -13.32 eV/f.u. The final energy comes out at -6.1739 eV/atom.

Entry 4:
This record from Alexandria via LeMat-Bulk describes La3N2Cl2 after structural relaxation. The functional is PBE.

a b c (Å): 14.053 3.945 7.291
angles (deg): 90.00 120.22 90.00
Positions (direct):
La1 0.000 0.000 0.000
La2 0.220 0.000 0.772
La3 0.280 0.500 0.228
La4 0.500 0.500 0.000
La5 0.720 0.500 0.772
La6 0.780 0.000 0.228
N1 0.182 0.000 0.048
N2 0.318 0.500 0.952
N3 0.682 0.500 0.048
N4 0.818 0.000 0.952
Cl1 0.096 0.500 0.380
Cl2 0.404 0.000 0.620
Cl3 0.596 0.000 0.380
Cl4 0.904 0.500 0.620

As for the space group: C2/m, No. 12. The formation energy (no corrections) is -12.37 eV/f.u. As for the excess energy over the best structure of this formula in the dataset: 0 meV/atom. The final energy comes out at -6.7849 eV/atom.

Entry 5:
........
I really thought about a wide monitor too, but didn't in fear that it could be an issue, and I tend to keep things at least a decade.
Whatever you end up with or do, I hope it meets your needs and you have more fun than troubleshooting time involved.
Best Wishes!
Do you have display scaling enabled?